Migrating to Optimizely at Groupon

Sharing experiences and learnings 🧪

Andres Otarola
Groupon Product and Engineering
6 min readSep 12, 2022


Photo by Alex Kondratiev on Unsplash

Experimentation is a key indicator of whether a feature will be appealing to users, maybe fall flat, or worse: cause a negative impact on them. Here at Groupon, we have been data driven for years, so it is in our nature to A/B Test everything that we present to our customer base.

The objective of this article is to give you some insights into how we migrated our existing experimentation pipeline onto Optimizely’s solution by swapping certain components from our pipeline. Let’s dive in.

As mentioned, we already had an existing experimentation pipeline, which can be generally split into two main components:

  • Data transport
  • Experiment engine
Generalised diagram of experiment events

Data transport

This is the layer that is responsible for transporting the events of an experiment. “What is an impression event?” you may inquire. It’s an interaction of a unique user with the treatment of an experiment. For Example, an experiment that presents either a red button or a green button to a user will be counted as an impression event with the chosen variation (either a red button or a green button).

== Next to the article, the page also holds records of crystals ==
____________
# Na3Mg2Ga2PS5O24

Crystalline Na3Mg2Ga2PS5O24 at its relaxed geometry (GGA-PBE, Materials Project).

crystal system: triclinic
formation energy from the elements: -2.255 eV/atom

Unit cell a=8.642 b=8.622 c=22.266 alpha=89.92 beta=90.08 gamma=119.94
Sites, in units of the cell vectors:
1 O 0.117 0.479 0.862
2 O 0.473 0.311 0.745
3 O 0.699 0.541 0.529
4 O 0.647 0.502 0.923
5 O 0.813 0.982 0.410
6 O 0.016 0.830 0.409
7 O 0.870 0.505 0.141
8 O 0.114 0.636 0.362
9 O 0.790 0.975 0.691
10 O 0.509 0.863 0.077
11 O 0.827 0.028 0.090
12 O 0.170 0.188 0.410
13 O 0.190 0.026 0.589
14 O 0.520 0.881 0.364
15 O 0.822 0.789 0.304
16 O 0.155 0.685 0.758
17 O 0.362 0.889 0.861
18 O 0.217 0.036 0.305
19 O 0.493 0.124 0.641
20 O 0.832 0.305 0.245
21 O 0.477 0.168 0.244
22 O 0.966 0.785 0.806
23 O 0.304 0.450 0.471
24 O 0.185 0.211 0.696
25 O 0.529 0.688 0.257
26 O 0.853 0.504 0.424
27 O 0.506 0.637 0.577
28 O 0.812 0.828 0.911
29 O 0.520 0.639 0.864
30 O 0.831 0.526 0.743
31 O 0.023 0.207 0.196
32 O 0.557 0.859 0.472
33 O 0.855 0.348 0.922
34 O 0.694 0.154 0.029
35 O 0.031 0.819 0.697
36 O 0.199 0.174 0.090
37 O 0.143 0.696 0.470
38 O 0.496 0.352 0.422
39 O 0.361 0.479 0.362
40 O 0.786 0.812 0.195
41 O 0.457 0.299 0.028
42 O 0.967 0.179 0.305
43 O 0.519 0.840 0.756
44 O 0.653 0.146 0.422
45 O 0.826 0.035 0.805
46 O 0.309 0.470 0.758
47 O 0.365 0.861 0.577
48 O 0.640 0.510 0.638
49 O 0.690 0.525 0.245
50 O 0.145 0.448 0.970
51 O 0.496 0.148 0.923
52 O 0.137 0.495 0.576
53 O 0.020 0.188 0.910
54 O 0.215 0.175 0.804
55 O 0.141 0.639 0.078
56 O 0.969 0.806 0.089
57 O 0.843 0.303 0.529
58 O 0.186 0.976 0.196
59 O 0.492 0.365 0.138
60 O 0.305 0.855 0.969
61 O 0.170 0.985 0.909
62 O 0.688 0.173 0.745
63 O 0.632 0.123 0.138
64 O 0.315 0.844 0.257
65 O 0.880 0.370 0.638
66 O 0.553 0.694 0.973
67 O 0.156 0.469 0.257
68 O 0.824 0.801 0.588
69 O 0.969 0.172 0.589
70 O 0.833 0.539 0.028
71 O 0.465 0.162 0.527
72 O 0.367 0.497 0.077
73 S 0.998 0.290 0.250
74 S 0.377 0.330 0.083
75 S 0.038 0.370 0.916
76 S 0.630 0.666 0.918
77 S 0.667 0.619 0.583
78 S 0.707 0.707 0.249
79 S 0.035 0.666 0.416
80 S 0.666 0.046 0.083
81 S 0.333 0.372 0.416
82 S 0.296 0.003 0.250
83 S 0.291 0.294 0.750
84 S 0.994 0.705 0.750
85 S 0.632 0.963 0.417
86 S 0.333 0.966 0.916
87 S 0.959 0.338 0.583
88 Ga 0.002 0.001 0.350
89 Ga 0.991 0.002 0.849
90 Ga 0.669 0.325 0.684
91 Ga 0.676 0.338 0.185
92 Ga 0.657 0.329 0.482
93 Ga 0.674 0.340 0.983
94 Na 0.667 0.333 0.333
95 Na 0.016 0.002 0.500
96 Na 0.676 0.338 0.834
97 Na 0.670 0.699 0.082
98 Na 0.316 0.664 0.167
99 Na 0.367 0.998 0.750
100 Na 0.009 0.002 0.000
101 Na 0.330 0.660 0.667
102 Na 0.664 0.966 0.586
103 P 0.958 0.622 0.084
104 P 0.709 0.001 0.748
105 P 0.373 0.043 0.583
106 Mg 0.328 0.668 0.517
107 Mg 0.004 0.000 0.648
108 Mg 0.006 0.000 0.148
109 Mg 0.321 0.665 0.018
110 Mg 0.332 0.666 0.316
111 Mg 0.338 0.667 0.816

---

# Na3Mg3GaS6O24

Crystalline Na3Mg3GaS6O24 at its relaxed geometry (GGA-PBE, Materials Project).

crystal system: triclinic
____________

Such events are handed over to specialized channels which end up being cleaned up by a central process in charge of canonicalizing the events so upstream services can easily parse the data.

It is important to emphasize that the Data transport layer is ignorant of the details of the experiment engine.

Misplaced calculated crystals =
********
Entry 1:
# PBE CaYNb2O7, optimized geometry
data_CaYNb2O7
_chemical_formula_sum 'Ca4 Y4 Nb8 O28'
_space_group_name_H-M_alt 'I m m a'
_space_group_IT_number 74
_space_group_name_Hall '-I 2b 2'
_cell_length_a 7.315
_cell_length_b 7.490
_cell_length_c 10.539
_cell_angle_alpha 90.00
_cell_angle_beta 90.00
_cell_angle_gamma 90.00
loop_
_atom_site_label
_atom_site_type_symbol
_atom_site_fract_x
_atom_site_fract_y
_atom_site_fract_z
Ca1 Ca 0.250 0.250 0.250
Y1 Y 0.000 0.000 0.000
Nb1 Nb 0.000 0.000 0.500
Nb2 Nb 0.250 0.250 0.750
O1 O 0.000 0.250 0.117
O2 O 0.000 0.250 0.431
O3 O 0.000 0.250 0.839
O4 O 0.207 0.047 0.623
# M_tot (μB/cell): 4.00
# Energy with MP2020 corrections (eV per atom): -9.07
# Energy of formation (eV/f.u.): -36.48



Entry 2:
# PBE NaSnPCO7, optimized geometry
data_NaSnPCO7
_chemical_formula_sum 'Na2 Sn2 P2 C2 O14'
_space_group_name_H-M_alt 'P 1 21/m 1'
_space_group_IT_number 11
_cell_length_a 5.332
_cell_length_b 6.588
_cell_length_c 8.793
_cell_angle_alpha 90.00
_cell_angle_beta 91.74
_cell_angle_gamma 90.00
loop_
_space_group_symop_operation_xyz
'x,y,z'
'-x,-y,-z'
'-x,y+1/2,-z'
'x,-y+1/2,z'
loop_
_atom_site_label
_atom_site_type_symbol
_atom_site_fract_x
_atom_site_fract_y
_atom_site_fract_z
Na1 Na 0.229 0.250 0.085
Sn1 Sn 0.220 0.750 0.332
P1 P 0.275 0.250 0.431
C1 C 0.297 0.750 0.046
O1 O 0.068 0.750 0.106
O2 O 0.128 0.250 0.578
O3 O 0.212 0.066 0.326
O4 O 0.333 0.750 0.908
O5 O 0.441 0.750 0.525
O6 O 0.480 0.750 0.154
# M_tot (μB/cell): 0.00
# Energy with MP2020 corrections (eV per atom): -7.21
# Energy of formation (eV/f.u.): -24.72
# Energy above the lowest structure with this stoichiometry (eV per atom): 0.000



Entry 3:
# PBE NbAlCl8, optimized geometry
data_NbAlCl8
_chemical_formula_sum 'Nb4 Al4 Cl32'
_space_group_name_H-M_alt 'C m c m'
_space_group_IT_number 63
_space_group_name_Hall '-C 2c 2'
_cell_length_a 8.646
_cell_length_b 17.878
_cell_length_c 8.742
_cell_angle_alpha 90.00
_cell_angle_beta 90.00
_cell_angle_gamma 90.00
loop_
_atom_site_label
_atom_site_type_symbol
_atom_site_fract_x
_atom_site_fract_y
_atom_site_fract_z
Nb1 Nb 0.000 0.113 0.250
Al1 Al 0.000 0.314 0.250
Cl1 Cl 0.000 0.133 0.513
Cl2 Cl 0.000 0.377 0.046
Cl3 Cl 0.192 0.231 0.250
Cl4 Cl 0.205 0.035 0.250
# Energy with MP2020 corrections (eV per atom): -4.70
# Energy of formation (eV/f.u.): -18.38

----------

Compound: BaCaNbWO6
Source: the Materials Project
Functional: PBE with a Hubbard U
Structure: optimized geometry

As for the calculated formation energy: -2818 meV per atom.

The space group is F-43m (No. 216) and the conventional cell measures 8.273, 8.273 and 8.273 Å, with angles of 90.00, 90.00 and 90.00 degrees. Symmetry generates all atoms from Ba at (0.000, 0.000, 0.000), Ca at (0.000, 0.000, 0.500), Nb at (0.250, 0.250, 0.750), W at (0.250, 0.250, 0.250) and O at (0.007, 0.250, 0.750).

----------

1.
A plane-wave DFT calculation with PBE-GGA was carried out for a relaxed CeSiBO5 crystal.

V = 93 Å³/f.u.
space-group type = No. 144
********

Experiment engine

This is the actual component that decides how an experiment is performing based on the events it is receiving, as well as providing the information of the currently available experiment to query from. (In our case this implementation varies per client; more on this later on.)

Enter Optimizely

When we decided to switch from our in-house experimentation solution to a cloud-based one, in this case, Optimizely, we immediately faced various challenges:

  • Keep backward compatibility (Even more so for Mobile!)
  • Support both Web and Mobile

Note: Actually, there were many other challenges as well, but for the purposes of this post, I’ll just mention those two.

Migrating over for Mobile

Believe it or not, this was not difficult. The current experiment flow looks like this:

  1. Once the app is launched, it fetches a pre-bucketed list of experiments (i.e. experiments get evaluated for a specific device, but no impression events are triggered) from a public-facing API, and this data is held in memory and used in the app’s session (yes, there’s a cache refresh policy in place on the mobile client as well).
  2. Whenever a User is presented with the pre-bucketed treatment (e.g. a red button, which is under experimentation in our previous example) then the application will send an event with this information plus the user identification through the data transport layer.

In this case, we just had to update the response the app receives when it fetches a pre-bucketed list of experiments, and that was all. No code changes were required for either of the Mobile clients (iOS and Android) 🎉

Migrating over for Web

Web applications presented a different level of challenge. The main reason was that we cannot just fetch experimentation data per request (it’d kill the service with a high volume of traffic), plus we had the added challenge of keeping our performance numbers under a certain budget per service, so the experiment evaluation has to be fast.

We had several options on how to do this, but the deciding factor comes down to two indicators:

  1. Performance
  2. Developer Experience

We wanted to come up with a sweet spot between those two, so our final solution was to wrap Optimizely’s SDK inside of an npm library that hides away such detail, which had added the benefit of:

  • Instantly evaluating an experiment, thus no performance penalty
  • Prevent developers from using unsupported (by us) Optimizely features

The only downside is that services needed to upgrade to use this new library. Fortunately, the old Experimentation implementation we had been using already followed this approach in Web, so we just had to add support to the same npm library.

Does Optimizely support everything that we had before? not quite.

Sadly, this migration was not 1:1 feature parity-wise, and there were some really good bits from our previous system that we wanted to have as well in Optimizely, which we ended up implementing in it:

  • Experiment tagging: services can tag their experiments in the Optimizely platform, then when fetching all available experiments, they can request the ones that have only the required tags, thus reducing the data file size considerably, along with other specialized requirements from the business.
  • Experiment rollouts as features: This is basically to roll out experiments but keep them as features in Optimizely, so Experiment owners can choose to control the experiment behavior from the Optimizely dashboard once it has been declared to be rolled out. This liberates teams from doing code changes.
  • Bucketing Strategy: By default, we use the user’s device as the identifier for experimentation purposes, but not all experiments have to be implemented this way. For such cases, experiment owners can alter the way an experiment is evaluated.

You might be wondering how we implemented these missing features without actually modifying Optimizely’s behavior since we have zero control over a third-party system. Well, it turns out that experiments in Optimizely can hold an arbitrary list of attributes with varying types. Among those types are ones that support JSON data, so, as you probably guessed, we leveraged that feature in order to add our metadata 😉.

Adding arbitrary experiment metadata sounds error prone

It does, and it is! To keep experiment owners from adding typos in the metadata we have come up with a simple solution: have a simple UI that reads experiment information from Optimizely API, and shows whether an experiment was created properly and is ready to be launched following Groupon’s specific set of rules. This way Experiment owners check that UI before starting an experiment.

This can, of course, be extended to a more proper solution such as:

  1. A browser plugin that integrates with Optimizely and validates an experiment within the Optimizely dashboard
  2. Our own experimentation UI that allows experiment creation with our set of rules handled automatically by the application

Both sound reasonable, with different levels of effort, and totally worth exploring.

Managing the decommission of the old Experimentation engine

Migrations always bring challenges that are mostly fun-ish, and they are always accompanied by certain hard deadlines — in our case, the decommissioning of the old Experimentation engine.

In a perfect world, you’d have all your services migrated over to the new solution before any decommission can happen, right? But the real world is more fun! So in our case what we did was to generate an experiment list snapshot and store those in S3 buckets and serve them using the old hostname that services used to access the old service, thus keeping them from being impacted and allowing the decommissioning of the old Experimentation engine. This one was a smooth-as-butter transition.

Final Thoughts

  1. When implementing a data-driven system, even if it is an in-house one, it is always a good idea to abstract the details of it away from other systems, so you have the liberty (or at the very minimum; reduce the pain) of swapping out components in your pipeline with minimal risk.
  2. When moving to a new solution from a previously known one, you usually gain a lot of shiny features, but you probably will miss others not present in the new solution; there’s always a way to bring them in one shape or another into the new system. 😉


This article might sound as if the overall migration was planned and executed flawlessly; that was not quite the case! Mistakes were made along the way, tears were shed, but most importantly, lessons were learned! 😸.

